A step-by-step account of how I created a design system for my own website using Sketch App and Zero Height.
Whilst freelancing at Spark 44 I helped the team evaluate design system tools for their forthcoming project for Jaguar Land Rover.
I read through several articles about Lingo and InVision DSM and then stumbled across Zero Height. Intrigued by what I saw on the Zero Height website, I thought I would give it a try prior to recommending it to the Spark 44 team.
So I created my own design system for this website. Below is an overview of the steps I undertook. Hopefully, they'll come in useful if you're setting up your own.
Note: This article assumes you know what a design system is and understand Sketch basics.
What Is Zero Height?
Zero Height is an online tool that integrates with Sketch to allow product teams to create web-based design systems.

Key Features
- Sketch Plugin to upload shared layer and text styles, symbols etc.
- Code snippet integration with live preview
- Embed third party prototypes from InVision, Marvel etc.
- Rich media support for images, videos etc.
- Rich text editor, so you can document your assets
- Extensible tree navigation makes it easy to navigate your system
- Ability to create infinite sections
Getting Started With Zero Height
Zero Height currently offer a free account so you can test out the functionality of their product.
Create An Account
Jump over to their site and fill in the simple sign-up form.

Create Your First Style Guide
Once you have created your account you can set up your first style guide by selecting the 'Create Styleguide' button.

Initial Style Guide Layout
Once you've selected 'Create Styleguide' a skeleton layout is created with some placeholder sections for introductions, principles, styling etc. Have a look around and familiarise yourself with the layout. Your content sits on the right-hand side and your navigation on the left.

Customising Your Sections
You can rename, reorder, create new sections and add your own logo by selecting the respective links.

== Attached: molecular data ==
........
{"formula": "C4H15N2O2", "method": "ωB97M-V with the def2-TZVPD basis set", "elements": ["O", "O", "N", "N", "C", "C", "C", "C", "H", "H", "H", "H", "H", "H", "H", "H", "H", "H", "H", "H", "H", "H", "H"], "xyz": [[5.5801, 0.4759, -0.3023], [0.5124, -1.3123, 2.0068], [-1.1402, 0.6365, 1.6446], [0.6559, 0.6598, -0.3647], [-1.2261, -0.1804, -1.6408], [-2.3249, -0.3478, -0.4093], [-2.3222, 0.8405, 0.7611], [0.1890, -0.3456, -1.2449], [-2.2945, 1.8175, 0.2124], [6.1710, 1.0916, -0.8103], [0.6208, -1.9740, 2.6399], [-1.2778, 1.2591, 2.4554], [0.1077, 0.6399, 0.4806], [-2.0504, -1.3353, 0.0305], [-0.2792, -0.6009, 2.0064], [1.6429, 0.5966, -0.1285], [-3.3366, 0.8693, 1.2492], [0.3583, -1.4720, -0.8423], [-1.6245, -0.9786, -2.2989], [-1.5206, 0.7210, -2.2644], [6.0499, -0.2819, -0.1013], [-3.3081, -0.5451, -0.9306], [0.8169, -0.2337, -2.1484]], "e_tot_ev": -11439.707, "e_above_lowest_kcal_mol": 210.0, "multiplicity": 2, "homo_energy_ha": [-0.6036, -0.6759], "gap_ha": [0.0740, 0.1822], "charge": 2}
........
== Here the page continues ==

Zero Height Sketch Plugin
The last (but super important step) you need to do before you jump into Sketch is to download the Zero Height Sketch plugin. For more on Sketch plugins, check out the official docs.
Download The Plugin
You can grab the zip file from the account dropdown menu.

Install The Plugin
Double-click on the zip file in your downloads folder and then click on the plugin. This should launch Sketch and install the plugin.

Log In To Zero Height
Select plugins > Zero Height > Log In and then enter your credentials into the modal and you will be all set to start uploading.

Preparing Your Sketch Library
Now that you've had a quick look around Zero Height and installed the Sketch plugin it's time to dive into preparing your Sketch assets.
It's beyond the scope of this article to cover every detail creating and organising a Sketch library. But I'll cover some of the basics below to help you prepare your library. This should ensure the transition to Zero Height should be as smooth as possible.
I'm assuming you've already set-up your library. If you haven't, then it is worth checking out the official docs first.
Sketch Symbol Naming Conventions
Organisation is key to a successful and scalable Sketch library. It doesn't matter if you follow atomic design, BEM, or another methodology. Just choose an approach, be consistent and stick to it.
Due to the simplicity of my website, I used a system of atoms, elements and components.

These are my smallest items within my Sketch library and include logos, Icons, Colours, Stokes etc. I organised them like this:
- Atoms/Logos/Name-Of-Item
- Atoms/Icons/Name-Of-Item
- etc.
Elements contain one or more item i.e. a button that includes an icon, label and background colour. I organised them like this:
- Elements/Buttons/Name-Of-Item
- Elements/Links//Name-Of-Item
- Etc.
Components are my most complex items and include type, images, buttons etc. I organised them like this:
- Components/Cards/Name-Of-Item
- Components/Hero/Name-Of-Item
- etc.

Text Styles
I went through a similar process with the naming of my text styles following a variation of BEM:
- Block/Modifier-1/Breakpoint/Optional-Modifier-2
- H1/Primary/Large/Left or H1/Secondary/Large/Right

Layer Styles
Now that Sketch supports overriding layer styles within symbol instances, it makes even more sense to maintain one set of styles and remove colours stored as symbols.
I divided my styles into fills, strokes and shadows with further sub-divisions for brand and system/UI. This allows me to access them easily from Sketch's menus.
- Fills/Brand/Primary
- Strokes/System/Grey

Uploading From Sketch To Zero Height
Now that we've covered the basics of creating a well-structured Sketch library, we can jump back over to Zero Height.
Make sure your Sketch library file is open in Sketch and then choose 'Upload All'. This should upload a copy of your entire library file to Zero Height. You should see a progress bar similar to the image below.

Once the progress bar has finished you should see your Sketch library in the uploads section in Zero Height.

Adding Items To Your Design System
If you jump back over to the 'Styleguides' tab you can now add items from your Sketch library into your design system.

- - -
# 1
The following is a DFT calculation (ωB97M-V with the def2-TZVPD basis set) of the molecule C4H13N3.

Each line ends with the natural charge from an NBO analysis.
CARTESIAN COORDINATES (ANGSTROEM)
C1 1.84881 -2.53605 -1.01312  -0.418
N1 0.86460 -1.83346 -0.20300  -0.627
C2 1.36580 -0.57612 0.37681  -0.223
C3 0.26760 0.28917 0.93856  -0.229
N2 -0.21633 1.26543 -0.02384  -0.651
C4 -1.40059 2.00304 0.37574  -0.049
N3 -2.67508 1.47120 -0.06177  -0.854
H1 1.87373 -2.29171 -2.08876  0.170
H2 2.86772 -2.30798 -0.72885  0.193
H3 1.70419 -3.58467 -0.92019  0.196
H4 0.02997 -1.70376 -0.75267  0.347
H5 1.93833 0.00983 -0.35447  0.169
H6 2.09778 -0.90717 1.10860  0.194
H7 -0.54584 -0.29567 1.39007  0.173
H8 0.69261 0.82017 1.79649  0.191
H9 -0.23518 0.91751 -0.97086  0.355
H10 -1.43938 1.99066 1.44919  0.175
H11 -1.29834 3.01208 -0.01514  0.180
H12 -2.97978 1.92442 -0.91544  0.355
H13 -2.68137 0.47560 -0.23102  0.356

SMILES string: CNCCNCN
Highest occupied orbital energy in eV: -8.332
Orbital gap in eV: 9.4
Lowest unoccupied orbital energy in eV: 1.091
E_tot in eV: -8828.199

=====

# 2
The following is a DFT calculation (ωB97M-V with the def2-TZVPD basis set) of the molecule C4H13N3.

Each line ends with the natural charge from an NBO analysis.
CARTESIAN COORDINATES (ANGSTROEM)
C1 -2.13907 0.84115 -0.05058  -0.615
C2 -1.35690 -0.29719 0.58490  -0.060
N1 -2.11418 -1.52494 0.40914  -0.841
C3 0.00606 -0.44314 -0.08694  -0.217
N2 0.98744 0.43884 0.53182  -0.626
C4 2.33712 0.16648 0.13462  -0.043
N3 2.59036 0.38021 -1.28674  -0.878
H1 -3.13012 1.01495 0.36949  0.207
H2 -1.65418 1.82351 0.07875  0.202
H3 -2.26037 0.60198 -1.10355  0.212
H4 -1.17950 -0.06315 1.64087  0.168
H5 -3.03156 -1.47498 0.83246  0.358
H6 -1.63432 -2.33109 0.78920  0.357
H7 0.38222 -1.45453 0.08371  0.186
H8 -0.10977 -0.27507 -1.16280  0.186
H9 0.78178 1.41427 0.35004  0.349
H10 2.60187 -0.86512 0.37063  0.175
H11 3.00033 0.76335 0.76149  0.159
H12 3.41598 -0.05462 -1.66351  0.367
H13 2.50682 1.33910 -1.58300  0.356

SMILES string: C[C@@H](N)CNCN
Highest occupied orbital energy in eV: -9.014
Orbital gap in eV: 10.1
Lowest unoccupied orbital energy in eV: 1.129
E_tot in eV: -8828.903

=====

# 3
The following is a DFT calculation (ωB97M-V with the def2-TZVPD basis set) of a structure of composition C4H13N3.

Each line ends with the natural charge from an NBO analysis.
CARTESIAN COORDINATES (ANGSTROEM)
C1 -2.24031 -0.33770 -1.05969  0.008
C2 -0.78361 0.59336 1.09444  -0.774
N1 -1.53756 -1.34455 -1.43939  -0.667
H1 -1.89376 -2.23615 -1.09216  0.347
H2 0.10403 -1.01788 -1.18935  0.396
H3 -3.15600 -0.41922 -0.47267  0.161
H4 -2.03007 0.63247 -1.48839  0.172
H5 -1.82477 0.30521 1.21486  0.200
H6 -0.72465 1.62763 1.41466  0.194
H7 -0.28423 -0.03162 1.83551  0.189
C3 1.74247 1.41870 0.49288  -0.646
N2 1.66844 -1.40461 0.16963  -0.681
C4 0.63915 0.68038 -0.22103  0.080
N3 0.96613 -0.55539 -0.73045  -0.508
H8 1.02977 -1.85233 0.82461  0.326
H9 2.11026 -2.13108 -0.38544  0.355
- - -

Select Items From The Modal
Select the 'Add' button. This will launch a modal window with a tree view of all the items you uploaded from your Sketch library. Locate the item you want and select the corresponding checkmark on the right-hand side, then hit 'Add'.

Colour Titles & HEX Codes
Once you've added your items, you'll see the corresponding items added within your design system. In the case of colours, you'll notice the HEX codes automatically generated and paired with the names you provided within your design system. Helpful for developers.

Auto-generated Type Hierarchy
You'll also notice your text styles have been converted to an elegant, hierarchical list with placeholder text.

Embedding Other Assets
You're not limited to just Sketch assets. Zero Height also supports embedding prototype, videos, gifs and code snippets.
I hooked-up my global font and CSS files and then added some simple button code. The result is a live, working example to accompany the graphical assets. This is a great feature where designers and developers can collaborate to develop a single source of truth for each item within your system.

Calculated molecules, kept here for reference =
'''
DFT (ωB97M-V/def2-TZVPD) results for a single C4H7F molecule at a distorted geometry.

Last column: natural (NBO) charge in e.
CARTESIAN COORDINATES (ANGSTROEM)
C (-0.56244, 1.37482, 0.03775)  -0.52
C (-0.58347, 0.07643, 0.03596)  0.42
F (-1.67613, -0.71615, -0.04574)  -0.34
C (0.68801, -0.79585, 0.06197)  -0.47
C (1.86088, 0.09122, -0.05600)  -0.61
H (-1.62072, 1.99114, -0.05759)  0.21
H (0.23518, 2.07315, 0.00083)  0.23
H (0.80983, -1.33960, 1.01140)  0.22
H (0.62499, -1.56496, -0.71679)  0.22
H (2.04135, 0.77557, 0.81139)  0.21
H (1.89404, 0.62282, -1.02062)  0.21
H (2.68265, -0.59255, -0.09507)  0.21

Results
Structure (SMILES) = C=C(F)CC
Net charge = 0
Molecular weight = 74.098 g/mol
Frontier orbital gap = 11.0 eV
E_HOMO = -9.872 eV
DFT total energy = -6977.734 eV
LUMO level = 0.0407 Eh
ΔE to the lowest compared entry with this formula, charge and spin = 10.6 kcal per mole

=====

DFT (ωB97M-V/def2-TZVPD) results for C4H7FI2 as an isolated structure at a distorted geometry.

Last column: natural (NBO) charge in e.
CARTESIAN COORDINATES (ANGSTROEM)
C (-2.62278, 0.09115, -0.73084)  -0.66
C (-1.17972, -0.17486, -1.22140)  -0.09
C (-0.21513, -0.83116, -0.55131)  -0.50
C (3.06111, -0.04192, 1.95861)  0.01
F (4.40938, 0.18984, 1.87899)  -0.40
I (2.54710, 1.53528, 0.04310)  0.12
I (2.36238, 0.88361, 3.66367)  0.10
H (-2.86239, 1.11843, -0.70255)  0.22
H (-2.60976, -0.22805, 0.37224)  0.21
H (-3.41232, -0.55671, -1.30915)  0.23
H (1.36432, 0.39885, -0.12044)  0.14
H (-1.04575, 0.09754, -2.26201)  0.19
H (0.51378, -1.01858, -1.31628)  0.22
H (-0.31023, -1.46341, 0.29737)  0.23

Results
Net charge = 0
Molecular weight = 327.906 g/mol
Frontier orbital gap = 7.9 eV
E_HOMO = -8.365 eV
DFT total energy = -23175.107 eV
LUMO level = -0.0185 Eh
ΔE to the lowest compared entry with this formula, charge and spin = 97.9 kcal per mole

=====

The highest frontier orbital gap belongs to which entry? C4H7F

=====

Which formula does entry 1 have? C4H7F

=====

Which value of frontier orbital gap does entry 1 give? 11.0 eV

=====

ΔE to the lowest compared entry with this formula, charge and spin of number 1 (C4H7F)? 10.6 kcal per mole


An isolated molecule of C6H11N at a distorted geometry, computed with wB97M-V/def2-TZVPD.

Calculated values
LUMO level (eV): 1.040
HOMO level (eV): -7.717
Energy above the lowest of the compared OMol25 structures with the same formula, charge and spin (kcal/mol): 42.3
SMILES: C=C/C=C(\C)NC

Last columns: bonded neighbours and bond lengths (Å).
Element x y z (Å)
1 C 2.465 1.968 0.985  C2 1.333, H8 1.082, H9 1.085
2 C 1.358 1.238 1.113  C1 1.333, C3 1.481, H10 1.086
3 C 1.042 0.207 0.097  C2 1.481, C4 1.335, H11 1.083
4 C -0.202 -0.049 -0.316  C3 1.335, C5 1.502, N6 1.396
5 C -1.438 0.493 0.344  C4 1.502, H12 1.091, H13 1.086, H14 1.092
6 N -0.438 -1.021 -1.289  C4 1.396, C7 1.450, H15 1.009
7 C -1.431 -2.049 -1.045  N6 1.450, H16 1.095, H17 1.090, H18 1.087
8 H 3.071 2.443 1.745  C1 1.082
9 H 2.935 2.005 0.008  C1 1.085
'''
The text goes on =

Rinse And Repeat
Go through your entire Sketch library and repeat the steps above until you've uploaded everything (or at least the key items). You can then move onto documentation.
Documenting Your Assets
It's all-well-and-good uploading Sketch libraries to Zero Height, but if you don't document them, then essentially you've just got a Sketch library file sitting in the Cloud and not a design system.
Documentation Structure
You don't need to document everything all at the same time. You can add detail over time. I took quite a bit of time up-front to add an overview and some fairly-detailed design principles. My list was something like the below:
- Introduction
- Design Principles
- Accessibility (work-in-progress)
- Content (work-in-progress)
- Tools
- Roadmap
- Change Log
The Devil's In The Details
I then went through my styles and components sections and added detail where I thought appropriate. The level of detail you include will depend on the complexity of your system and who its intended audience is.
Over time, as you add more components, documentation and code examples your system will become richer. It should provide your organisation (and external teams) with a single source of truth for both designers and developers to work together to produce consistent, delightful digital products.
Concluding Thoughts
Zero Height is a great tool to use alongside Sketch to kick-start your style guide or design system. There are many other tools out there, (besides the aforementioned Lingo and InVision DSM). I'd love to hear what tools you are using and also what you thought of this article.
Leave a comment below or give me a shout on twitter.
Thanks for reading and good luck with your design system.